Dean gets it wrong: Vermont shows exactly why the insurance mandate matters. | The New Republic

Howard Dean Wrong, Individual Mandate Right

Conservatives have been on the warpath against the Affordable Care Act’s individual mandate. But recently one of the left’s best known advocates of health care reform, former Vermont Governor Howard Dean, chimed in to suggest that the mandate was not as essential as its proponents (like me) have suggested.

[Attached: calculated crystals]
~~~
Simulated powder diffractogram
Compound: TbPmSO2
Radiation: CuKα
Structure: the GGA-PBE geometry in OQMD
Neutral-atom scattering factors, no anomalous dispersion.

Crystal structure
```
data_TbPmSO2
_cell_length_a 3.8676
_cell_length_b 3.8676
_cell_length_c 6.6778
_cell_angle_alpha 90.00
_cell_angle_beta 90.00
_cell_angle_gamma 120.00
_space_group_name_H-M_alt 'P 3 m 1'
_space_group_IT_number 156
loop_
_space_group_symop_operation_xyz
'x,y,z'
'-y,x-y,z'
'-x+y,-x,z'
'-y,-x,z'
'-x+y,y,z'
'x,x-y,z'
loop_
_atom_site_label
_atom_site_fract_x
_atom_site_fract_y
_atom_site_fract_z
Tb1 0.0000 0.0000 0.0000
Pm1 0.6667 0.3333 0.4381
S1 0.3333 0.6667 0.7223
O1 0.0000 0.0000 0.3421
O2 0.6667 0.3333 0.0832
```

Top 10 peaks for 2θ = 15–90°, most intense first:
two_theta, I_rel, index
29.8, 100.0, 1 0 1
26.7, 42.2, 0 0 2
47.0, 31.1, 1 1 0
38.1, 30.1, 0 1 2
49.1, 24.5, 1 0 3
54.9, 21.5, 1 1 2
56.7, 16.9, 0 2 1
76.6, 14.1, 2 1 1
88.9, 9.2, 2 1 3
63.8, 8.8, 1 1 3
~~~
[The calculated crystals stop here]

Writing for the Huffington Post, Dean pointed out that his state enacted health care reform while he was governor. Those reforms did not include a mandate, yet the state significantly reduced the number of people without insurance. If it worked that way in Vermont, Dean asked, why couldn’t it work that way in the country as a whole?

Between two parts of the entry: calculated crystals:
/*
Diffraction record for Na5Bi2Pd. The powder X-ray diffraction pattern is theoretical, not measured: it uses a crystal structure in Alexandria, relaxed with PBE and Cu Kα, 1.54184 Å.
Kinematic intensities with the Lorentz-polarization factor, no thermal factor.

Main lines, by angle (5° ≤ 2θ ≤ 70°):
2theta  d_spacing  Rel. int.
18.03  4.921  18
19.27  4.607  37
19.79  4.485  100
23.60  3.770  25
33.70  2.660  64
37.47  2.400  45
38.47  2.340  18
39.39  2.288  18
41.59  2.171  16
50.53  1.806  20
51.27  1.782  19
62.77  1.480  20

Atomic structure:
abc: 5.319 5.319 19.684
angles: 90.00 90.00 120.00
Sites, in units of the cell vectors:
Na: 0.000 0.000 0.161
Na: 0.000 0.000 0.339
Na: 0.000 0.000 0.661
Na: 0.000 0.000 0.839
Na: 0.333 0.667 0.052
Na: 0.333 0.667 0.250
Na: 0.333 0.667 0.448
Na: 0.667 0.333 0.552
Na: 0.667 0.333 0.750
Na: 0.667 0.333 0.948
Bi: 0.333 0.667 0.615
Bi: 0.333 0.667 0.885
Bi: 0.667 0.333 0.115
Bi: 0.667 0.333 0.385
Pd: 0.333 0.667 0.750
Pd: 0.667 0.333 0.250

Diffraction record for Na3Bi4Pd8. The powder X-ray diffraction pattern is theoretical, not measured: it uses a crystal structure in Alexandria, relaxed with PBE and Cu Kα, 1.54184 Å.
Kinematic intensities with the Lorentz-polarization factor, no thermal factor.

Main lines, by angle (5° ≤ 2θ ≤ 70°):
2theta  d_spacing  Rel. int.
11.37  7.780  8
13.14  6.737  12
22.86  3.890  57
34.59  2.593  15
37.77  2.382  100
39.57  2.278  14
44.07  2.055  10
44.61  2.031  52
54.48  1.684  9
59.84  1.546  9
61.56  1.507  9
68.19  1.375  29

Atomic structure:
abc: 9.528 9.528 9.528
angles: 60.00 60.00 60.00
Sites, in units of the cell vectors:
Na: 0.228 0.228 0.772
Na: 0.228 0.772 0.228
Na: 0.228 0.772 0.772
Na: 0.772 0.228 0.228
Na: 0.772 0.228 0.772
Na: 0.772 0.772 0.228
Bi: 0.000 0.000 0.000
Bi: 0.000 0.000 0.500
Bi: 0.000 0.500 0.000
Bi: 0.000 0.500 0.500
Bi: 0.500 0.000 0.000
Bi: 0.500 0.000 0.500
Bi: 0.500 0.500 0.000
Bi: 0.500 0.500 0.500
Pd: 0.140 0.620 0.620
Pd: 0.171 0.171 0.171
Pd: 0.171 0.171 0.488
Pd: 0.171 0.488 0.171
Pd: 0.380 0.380 0.380
Pd: 0.380 0.380 0.860
Pd: 0.380 0.860 0.380
Pd: 0.488 0.171 0.171
Pd: 0.512 0.829 0.829
Pd: 0.620 0.140 0.620
Pd: 0.620 0.620 0.140
Pd: 0.620 0.620 0.620
Pd: 0.829 0.512 0.829
Pd: 0.829 0.829 0.512
Pd: 0.829 0.829 0.829
Pd: 0.860 0.380 0.380

Diffraction record for NaBi2Pd9. The powder X-ray diffraction pattern is theoretical, not measured: it uses a crystal structure in Alexandria, relaxed with PBE and Cu Kα, 1.54184 Å.
Kinematic intensities with the Lorentz-polarization factor, no thermal factor.

Main lines, by angle (5° ≤ 2θ ≤ 70°):
2theta  d_spacing  Rel. int.
7.30  12.116  13
14.62  6.058  5
22.75  3.908  4
26.12  3.412  7
31.52  2.838  2
34.09  2.630  4
38.03  2.366  100
43.29  2.090  3
43.86  2.064  34
44.89  2.019  15
63.76  1.460  11
64.56  1.444  20

Atomic structure:
abc: 4.129 4.129 12.116
angles: 90.00 90.00 90.00
Sites, in units of the cell vectors:
Na: 0.000 0.000 0.000
Bi: 0.000 0.000 0.323
Bi: 0.000 0.000 0.677
*/
The entry goes on:

Dean has a right to brag about his state’s record in health care--and his role in establishing it. Under his leadership, Vermont enacted Dr. Dynasaur, which focused on improving access to care for children. Vermont is also one of the few states with true community rating, which means insurers can’t charge sick people higher premiums.

But does Vermont’s record really demonstrate that the individual mandate is superfluous? Look more closely at what’s happened there--and then compare it what’s happened in nearby Massachusetts. The two states have a lot in common. Both states have community rated non-group insurance markets, generous public insurance programs for low income families and (especially) children, and income-based subsidies to make comprehensive insurance affordable for low income populations. The key difference is the mandate: In Massachusetts, all residents are required to be covered by insurance, so long as that insurance is affordable according to guidelines put out by the state. In Vermont, residents have no such obligation.

Governor Dean implies the results are roughly equivalent. But that’s a grossly misleading statement, because he uses Vermont figures that include only children while using Massachusetts figures that include adults as well. If you do an apples-to-apples comparison--that is, include adults in both states’ figures--the difference is pretty stark.

Overall, according to the most recent estimates from the Current Population Survey, the rate of uninsurance is Vermont (at 9.9 percent) is more than twice that in Massachusetts (at 4.4 percent). To put this in human terms, if Vermont had an uninsurance rate as low as that in Massachusetts, there would be 34,000 more residents who were insured and protected against the risks of medical bankruptcy. Moreover, while the rate of uninsurance was rising last year in Vermont, it was falling in Massachusetts, as our comprehensively reformed system (including an individual mandate) provided protection against the impacts of the recession.

In terms of non-group premiums—that is, premiums for people buying insurance on their own rather than through an employer--Governor Dean is correct that the premium levels are roughly comparable between the two states. But he ignores the fact that in Massachusetts the insurance that is purchased for those premiums is much more generous, and individuals have available to them a much wider array of choices.

Consider a 45 year old such as myself who is interested in buying non-group insurance. In Vermont, I would have two choices: Blue Cross/Blue Shield or MVP. Blue Cross/Blue Shield offers two products: a $5000 deductible plan (for $425/month) or a $10,000 deductible plan (for $286/month). MVP offers a plan with a $3500 deductible for $271/month, a $5000 deductible for $230/month, and a $10,000 deductible for $184/month (along with some products with $25,000 or more deductibles). There is one other option: I could qualify for Catamount health, which offers a plan with a $250 deductible and 20 percent coinsurance for $416-$452/month. But first I would have to be uninsured for a year! And that’s not to mention the fact that, in order to gather all of this information, I had to spend a while searching across various web sites run by the state and private entities.

### Inserted here: records of crystals
=====
[1]
Calculated powder X-ray diffraction pattern
Compound: SrTlBPb
Radiation: Cu Kα X-rays
Structure: a crystal structure in Alexandria, relaxed with PBE
Kinematic intensities with the Lorentz-polarization factor, no thermal factor.

Structure:
Cell lengths 5.8201, 5.8201, 5.0814 Å; angles 110.06, 110.06, 41.58 degrees
Element x y z (fractional)
Sr: 0.0000 0.0000 0.0000
Tl: 0.3331 0.3331 0.3311
B: 0.7132 0.7132 0.1743
Pb: 0.6569 0.6569 0.6330

The 10 most intense peaks (15° ≤ 2θ ≤ 90°), in order of rising 2θ:
d 3.198, I = 100
d 2.956, I = 40
d 2.677, I = 32
d 2.614, I = 62
d 2.526, I = 31
d 2.066, I = 17
d 1.896, I = 26
d 1.746, I = 19
d 1.693, I = 17
d 1.599, I = 16

[2]
Calculated powder X-ray diffraction pattern
Compound: NaSr2RuO5
Radiation: Cu Kα X-rays
Structure: a crystal structure in Alexandria, relaxed with PBE
Kinematic intensities with the Lorentz-polarization factor, no thermal factor.

Structure:
Cell lengths 6.8079, 6.8079, 6.8079 Å; angles 146.43, 126.99, 64.22 degrees
Element x y z (fractional)
Na: 0.0000 0.0000 0.0000
Sr: 0.2816 0.7816 0.5000
Sr: 0.7184 0.2184 0.5000
Ru: 0.5000 0.5000 0.0000
O: 0.1495 0.3735 0.7760
O: 0.4025 0.6265 0.7760
O: 0.5000 0.0000 0.5000
O: 0.5975 0.3735 0.2240
O: 0.8505 0.6265 0.2240

The 10 most intense peaks (15° ≤ 2θ ≤ 90°), in order of rising 2θ:
d 5.376, I = 63
d 3.038, I = 26
d 2.865, I = 100
d 2.156, I = 16
d 2.091, I = 29
d 2.038, I = 21
d 1.966, I = 16
d 1.719, I = 22
d 1.519, I = 14
d 1.432, I = 15

[3]
Calculated powder X-ray diffraction pattern
Compound: Ta2Ti2Zn
Radiation: Cu Kα X-rays
Structure: a crystal structure in Alexandria, relaxed with PBE
Kinematic intensities with the Lorentz-polarization factor, no thermal factor.

Structure:
Cell lengths 11.4278, 11.3445, 2.8096 Å; angles 84.60, 81.23, 14.17 degrees
Element x y z (fractional)
Ta: 0.1962 0.1962 0.8038
Ta: 0.8038 0.8038 0.1962
Ti: 0.4026 0.4026 0.5974
Ti: 0.5974 0.5974 0.4026
Zn: 0.0000 0.0000 0.0000

The 10 most intense peaks (15° ≤ 2θ ≤ 90°), in order of rising 2θ:
d 2.562, I = 21
d 2.330, I = 100
d 2.242, I = 22
d 2.212, I = 22
d 1.732, I = 10
d 1.575, I = 14
d 1.364, I = 9
d 1.311, I = 14
d 1.299, I = 15
d 1.165, I = 10

[4]
Calculated powder X-ray diffraction pattern
Compound: In8Sn3Hg8
Radiation: Cu Kα X-rays
Structure: a crystal structure in Alexandria, relaxed with PBE
Kinematic intensities with the Lorentz-polarization factor, no thermal factor.

Structure:
Cell lengths 6.1795, 8.5838, 10.5367 Å; angles 70.36, 80.75, 83.72 degrees
Element x y z (fractional)
In: 0.1681 0.3320 0.4745
In: 0.2057 0.4997 0.7128
In: 0.2123 0.9009 0.6153
In: 0.2697 0.8282 0.9337
In: 0.7303 0.1718 0.0663
In: 0.7877 0.0991 0.3847
In: 0.7943 0.5003 0.2872
In: 0.8319 0.6680 0.5255
Sn: 0.0000 0.5000 0.0000
Sn: 0.0292 0.8520 0.2215
Sn: 0.9708 0.1480 0.7785
Hg: 0.2796 0.1684 0.9883
Hg: 0.3210 0.0944 0.3033
Hg: 0.3815 0.4908 0.1653
Hg: 0.4081 0.7057 0.3917
Hg: 0.5919 0.2943 0.6083
Hg: 0.6185 0.5092 0.8347
Hg: 0.6790 0.9056 0.6967
Hg: 0.7204 0.8316 0.0117
=====

In Massachusetts, in contrast, I can simply log on to one website ( that presents me with a well-organized set of 41 choices. The state groups the choices into three, easy-to-understand categories--bronze, silver and gold. (Within silver and bronze, there are similarly simple sub-categories: low, medium and high). For comparison to the Blue Cross/Blue Shield and MVP options I found in Vermont, consider the low cost bronze option. In that option, I have choices ranging from premiums of $291/month to $468/month, which are comparable to the Vermont offerings. But these are for plans with at most a $2000 deductible, rather than the $3500 or more deductibles in Vermont. I could even get a plan with no deductible for only $414/month, the same price as Catamount health--but I wouldn’t have to go uninsured for a full year to qualify.

The bottom line seems pretty clear: Here you have two states with relatively similar systems, except for the individual mandate. The state with the mandate has fewer than half as many uninsured, plus non-group market with a much wider variety of options that provide much better coverage at comparable prices.

With all due respect to Governor Dean, his good work, and his fine state, I’m glad I live in Massachusetts--and that it’s my state’s model, not his, on which the Affordable Care Act is based.

Jonathan Gruber is a professor of economics at MIT and member of the Massachusetts Health Connector Authority Board. He has served as a paid technical consultant to the Department of Health and Human Services and continues to advise policymakers about health care reform.